

He approached the school-house and unlocking the door closed it behind him, not so much to keep out human intrusion as the invasion of bats and squirrels. The nearly vertical moon, while it perfectly lit the playground and openings in the pines around the house, left the interior in darkness, except the reflection upon the ceiling from the shining gravel without. Partly from a sense of precaution and partly because he was familiar with the position of the benches, he did not strike a light, and reached his own desk unerringly, drew his chair before it and unlocked it, groped in its dark recess for the myrtle spray, felt its soft silken binding with an electrical thrill, drew it out, and in the security of the darkness, raised it to his lips.

To make room for it in his breast pocket he was obliged to take out his letters--among them the well-worn one he had tried to read that morning. A mingling of pleasure and remorse came over him as he felt that it was already of the past, and as he dropped it carelessly into the empty desk it fell with a faint, hollow sound as if it were ashes to ashes.

What was that?

The noise of steps upon the gravel, light laughter, the moving of two or three shadows on the ceiling, the sound of voices, a man's, a child's, and HERS!

Could it be possible? Was not he mistaken? No! the man's voice was Masters'; the child's, Octavia's; the woman's, HERS.

He remained silent in the shadow. The school-room was not far from the trail where she would have had to pass going home from the ball. But why had she come there? had they seen him arrive? and were mischievously watching him? The sound of Cressy's voice and the lifting of the unprotected window near the door convinced him to the contrary.

"There, that'll do. Now you two can step aside. 'Tave, take him over to yon fence, and keep him there till I get in. No--thank you, sir--I can assist myself. I've done it before. It ain't the first time I've been through this window, is it, 'Tave?"

Ford's heart stopped beating. There was a moment of laughing expostulation, the sound of retreating voices, the sudden darkening of the window, the billowy sweep of a skirt, the faint quick flash of a little ankle, and Cressy McKinstry swung herself into the room and dropped lightly on the floor.

She advanced eagerly up the moonlit passage between the two rows of benches. Suddenly she stopped; the master rose at the same moment with outstretched warning hand to check the cry of terror he felt sure would rise to her lips. But he did not know the lazy nerves of the girl before him. She uttered no outcry. And even in the faint dim light he could see only the same expression of conscious understanding come over her face that he had seen in the ball-room, mingled with a vague joy that parted her breathless lips. As he moved quickly forward their hands met; she caught his with a quick significant pressure and darted back to the window.

"Oh, 'Tave!" (very languidly.)


"You two had better wait for me at the edge of the trail yonder, and keep a lookout for folks going by. Don't let them see you hanging round so near. Do you hear? I'm all right."

_Inserted here: records of crystals_
'''
Calculated X-ray powder pattern of LiCa2As2Pt for λ = 1.5418 Å (Cu Kα), from a cell relaxed with PBE.
Neutral-atom scattering factors, no anomalous dispersion.

Principal peaks in the range 10° ≤ 2θ ≤ 90°, low angle first:
12.4 deg, I = 77; 16.2 deg, I = 100; 24.0 deg, I = 41; 32.8 deg, I = 27; 33.1 deg, I = 37; 34.8 deg, I = 52; 39.2 deg, I = 24; 39.5 deg, I = 51; 39.8 deg, I = 51; 43.6 deg, I = 47; 47.0 deg, I = 20; 77.1 deg, I = 17

Cell and atoms:
Cell lengths 8.273, 8.273, 8.273 Å; angles 138.11, 60.32, 138.65 degrees
Sites, in units of the cell vectors:
1 Li 0.250 0.250 0.000
2 Li 0.750 0.750 0.000
3 Ca 0.164 0.737 0.900
4 Ca 0.336 0.237 0.573
5 Ca 0.664 0.763 0.427
6 Ca 0.836 0.263 0.100
7 As 0.118 0.241 0.359
8 As 0.382 0.741 0.123
9 As 0.618 0.259 0.877
10 As 0.882 0.759 0.641
11 Pt 0.250 0.750 0.500
12 Pt 0.750 0.250 0.500

Calculated X-ray powder pattern of LiCaSiAs2 for λ = 1.5418 Å (Cu Kα), from a cell relaxed with PBE.
Neutral-atom scattering factors, no anomalous dispersion.

Principal peaks in the range 10° ≤ 2θ ≤ 90°, low angle first:
13.5 deg, I = 21; 23.4 deg, I = 73; 30.4 deg, I = 66; 31.8 deg, I = 100; 34.7 deg, I = 34; 41.3 deg, I = 97; 42.4 deg, I = 26; 45.5 deg, I = 32; 47.8 deg, I = 17; 51.8 deg, I = 17; 55.8 deg, I = 22; 63.2 deg, I = 52

Cell and atoms:
Cell lengths 7.116, 7.116, 5.635 Å; angles 90.00, 90.00, 133.41 degrees
Sites, in units of the cell vectors:
1 Li 0.250 0.250 0.000
2 Li 0.750 0.750 0.000
3 Ca 0.250 0.750 0.739
4 Ca 0.750 0.250 0.261
5 Si 0.000 0.000 0.500
6 Si 0.500 0.500 0.500
7 As 0.145 0.855 0.241
8 As 0.355 0.645 0.241
9 As 0.645 0.355 0.759
10 As 0.855 0.145 0.759


Record 1
Diffraction record for KMg6Nb. The PXRD pattern is calculated, not measured: it uses the GGA-PBE geometry in Alexandria and λ = 1.5418 Å (Cu Kα).
Peak positions follow from Bragg's law for the DFT cell and can differ from measured ones.

Cell and atoms:
```
data_KMg6Nb
_chemical_formula_sum 'K1 Mg6 Nb1'
_symmetry_space_group_name_H-M 'P 4/m m m'
_symmetry_Int_Tables_number 123
_symmetry_space_group_name_Hall '-P 4 2'
_cell_length_a 6.6685
_cell_length_b 6.6685
_cell_length_c 4.4397
_cell_angle_alpha 90.00
_cell_angle_beta 90.00
_cell_angle_gamma 90.00
loop_
_atom_site_label
_atom_site_fract_x
_atom_site_fract_y
_atom_site_fract_z
K1 0.0000 0.0000 0.0000
Mg1 0.0000 0.5000 0.0000
Mg2 0.2802 0.2802 0.5000
Nb1 0.5000 0.5000 0.0000
```

Largest 12 diffraction maxima, by angle, 15° ≤ 2θ ≤ 90°:
18.8°, d = 4.715 Å, I 22, (1 1 0); 26.7°, d = 3.334 Å, I 10, (2 0 0); 27.6°, d = 3.232 Å, I 14, (1 1 1); 33.6°, d = 2.666 Å, I 100, (2 0 1); 36.3°, d = 2.476 Å, I 11, (2 1 1); 38.2°, d = 2.358 Å, I 33, (2 2 0); 40.6°, d = 2.220 Å, I 15, (0 0 2); 55.1°, d = 1.667 Å, I 10, (4 0 0); 57.0°, d = 1.616 Å, I 21, (2 2 2); 66.1°, d = 1.413 Å, I 22, (4 2 1); 69.5°, d = 1.353 Å, I 11, (2 0 3); 70.7°, d = 1.333 Å, I 10, (4 0 2)

=====

Record 2
'''

  • 决战通天


  • 血的尘埃


  • 那夜清风无闲时


  • 被偏执霍爷夺了心


    京城里令人闻风丧胆的霍戾阴鸷残忍,心狠手辣。却被一个小姑娘勾走了心。有传言说小姑娘长相丑陋,智商为零,还是个疯子,实在配不上霍大少爷。但霍戾却自此失了心,发了狂,死也不要她离开他。他说:“糖糖,你不要丢下我,你丢下我,我会死的。”他抱着她,似要将她揉进骨子里:“我的手上不知染了多少人的血,我的心早就黑烂了,但只要你不嫌弃,我可以把它掏出来给你看。” 他以尸骨为基,血肉为墙,为她筑起一座城堡,将她困住。 注:女主后期会变成婴儿哦~【外表软萌呆傻实则武力值爆棚大佬X占有欲强且内心阴暗偏执大佬】 …… 推荐另一个马甲的新文《女配她只想当咸鱼》
  • 重生之绝霸天下


  • 小白兔吃橙子


  • 蛮妻有毒:腹黑大叔宠上天


  • 以少帝之名


  • 天行


  • 从鬼灭之刃开始的旅途

